-- Input --
This entry pairs a crystal structure of LaTbCd6 with its computed powder diffraction line list. Radiation: Cu Kα (λ = 1.5418 Å). Structure: a cell relaxed with PBE.
Kinematic intensities with the Lorentz-polarization factor, no thermal factor.

Cell and atoms:
```
data_LaTbCd6
_cell_length_a 4.951
_cell_length_b 7.233
_cell_length_c 11.248
_cell_angle_alpha 90.00
_cell_angle_beta 90.00
_cell_angle_gamma 90.00
_space_group_name_H-M_alt 'A m m 2'
_space_group_IT_number 38
_space_group_name_Hall 'A 2 -2'
loop_
_atom_site_label
_atom_site_type_symbol
_atom_site_fract_x
_atom_site_fract_y
_atom_site_fract_z
La1 La 0.000 0.000 0.000
Tb1 Tb 0.500 0.000 0.718
Cd1 Cd 0.000 0.000 0.535
Cd2 Cd 0.000 0.217 0.267
Cd3 Cd 0.500 0.000 0.193
Cd4 Cd 0.500 0.212 0.450
```

Principal peaks in the range 15 to 90 degrees two-theta, most intense first:
(hkl), 2theta, I (rel.)
1 2 2, 34.6, 100.0
2 0 0, 36.3, 28.7
1 0 4, 36.8, 25.4
0 0 4, 31.8, 19.2
3 2 2, 64.2, 15.8
0 2 2, 29.4, 13.0
2 0 4, 49.0, 11.2
2 2 6, 67.9, 11.1


# 1
Li8BiS6: theoretical X-ray diffraction stick pattern (Cu Ka), based on DFT lattice parameters and positions (PBE).
Kinematic intensities with the Lorentz-polarization factor, no thermal factor.

Structure:
Cell lengths 7.1146, 7.1146, 13.4791 Å; angles 90.00, 90.00, 120.00 degrees
Space group P6_3cm (No. 185)
Unique sites:
Li 0.0000 0.3259 0.0000 x6
Li 0.0000 0.3888 0.3673 x6
Li 0.3333 0.6667 0.1306 x4
Bi 0.0000 0.0000 0.2267 x2
S 0.0000 0.0000 0.4227 x2
S 0.0000 0.3536 0.1848 x6
S 0.3333 0.6667 0.4481 x4

Principal peaks in the range 10° ≤ 2θ ≤ 90°, by intensity:
2θ = 19.52°, rel. 100, (1 0 2)
2θ = 14.38°, rel. 85, (1 0 0)
2θ = 25.03°, rel. 44, (1 1 0)
2θ = 31.94°, rel. 36, (2 0 2)
2θ = 41.00°, rel. 34, (2 1 2)
2θ = 13.14°, rel. 34, (0 0 2)
2θ = 30.23°, rel. 31, (1 0 4)
2θ = 36.74°, rel. 28, (1 1 4)
2θ = 44.09°, rel. 28, (3 0 0)
2θ = 26.45°, rel. 25, (0 0 4)
2θ = 28.98°, rel. 23, (2 0 0)
2θ = 52.15°, rel. 21, (3 0 4)

# 2
Li4Bi2S7: theoretical X-ray diffraction stick pattern (Cu Ka), based on DFT lattice parameters and positions (PBE).
Kinematic intensities with the Lorentz-polarization factor, no thermal factor.

Structure:
Cell lengths 6.1714, 12.5587, 8.8355 Å; angles 90.00, 123.58, 90.00 degrees
Space group P2_1/c (No. 14)
Unique sites:
Li 0.1416 0.1121 0.4757 x4
Li 0.2114 0.6668 0.8798 x4
Bi 0.3502 0.0266 0.1402 x4
S 0.1871 0.0142 0.7616 x4
S 0.2037 0.7289 0.6150 x4
S 0.4027 0.2359 0.2053 x4
S 0.5000 0.0000 0.5000 x2

Principal peaks in the range 10° ≤ 2θ ≤ 90°, by intensity:
2θ = 14.10°, rel. 100, (0 2 0)
2θ = 13.94°, rel. 82, (0 1 1)
2θ = 20.48°, rel. 68, (1 0 -2)
2θ = 30.67°, rel. 57, (2 1 -1)
2θ = 31.32°, rel. 55, (1 1 -3)
2θ = 37.39°, rel. 51, (0 1 3)
2θ = 28.43°, rel. 46, (0 4 0)
2θ = 17.25°, rel. 41, (1 0 0)
2θ = 27.02°, rel. 39, (1 1 1)
2θ = 36.88°, rel. 28, (2 3 -1)
2θ = 50.85°, rel. 23, (3 2 -4)
2θ = 22.35°, rel. 23, (1 2 0)

# 3
LiBiS2: theoretical X-ray diffraction stick pattern (Cu Ka), based on DFT lattice parameters and positions (PBE).
Kinematic intensities with the Lorentz-polarization factor, no thermal factor.

Structure:
Cell lengths 3.9790, 3.9790, 19.0258 Å; angles 90.00, 90.00, 120.00 degrees
Space group R-3m (No. 166, hexagonal axes)
Unique sites:
Li 0.0000 0.0000 0.0000 x3
Bi 0.0000 0.0000 0.5000 x3
S 0.0000 0.0000 0.2543 x6

Principal peaks in the range 10° ≤ 2θ ≤ 90°, by intensity:
2θ = 13.96°, rel. 100, (0 0 3)
2θ = 32.07°, rel. 88, (1 0 4)
2θ = 26.28°, rel. 77, (1 0 1)
2θ = 35.13°, rel. 40, (0 1 5)
2θ = 27.53°, rel. 34, (0 1 2)
2θ = 45.60°, rel. 33, (1 1 0)
2θ = 46.39°, rel. 31, (0 1 8)
2θ = 47.92°, rel. 30, (1 1 3)
2θ = 42.35°, rel. 20, (1 0 7)
2θ = 56.83°, rel. 17, (0 2 4)
2θ = 64.30°, rel. 15, (1 1 9)
2θ = 75.71°, rel. 15, (2 1 4)


Record 1
Diffraction record for LiP2WO8. The X-ray powder pattern is computed, not measured: it uses a GGA+U-relaxed structure and λ = 1.5418 Å (Cu Kα).
Kinematic intensities with the Lorentz-polarization factor, no thermal factor.

-- Exercise --
Now duplicate the whole of the entries earlier on character by character.

-- Written answer --
This entry pairs a crystal structure of LaTbCd6 with its computed powder diffraction line list. Radiation: Cu Kα (λ = 1.5418 Å). Structure: a cell relaxed with PBE.
Kinematic intensities with the Lorentz-polarization factor, no thermal factor.

Cell and atoms:
```
data_LaTbCd6
_cell_length_a 4.951
_cell_length_b 7.233
_cell_length_c 11.248
_cell_angle_alpha 90.00
_cell_angle_beta 90.00
_cell_angle_gamma 90.00
_space_group_name_H-M_alt 'A m m 2'
_space_group_IT_number 38
_space_group_name_Hall 'A 2 -2'
loop_
_atom_site_label
_atom_site_type_symbol
_atom_site_fract_x
_atom_site_fract_y
_atom_site_fract_z
La1 La 0.000 0.000 0.000
Tb1 Tb 0.500 0.000 0.718
Cd1 Cd 0.000 0.000 0.535
Cd2 Cd 0.000 0.217 0.267
Cd3 Cd 0.500 0.000 0.193
Cd4 Cd 0.500 0.212 0.450
```

Principal peaks in the range 15 to 90 degrees two-theta, most intense first:
(hkl), 2theta, I (rel.)
1 2 2, 34.6, 100.0
2 0 0, 36.3, 28.7
1 0 4, 36.8, 25.4
0 0 4, 31.8, 19.2
3 2 2, 64.2, 15.8
0 2 2, 29.4, 13.0
2 0 4, 49.0, 11.2
2 2 6, 67.9, 11.1


# 1
Li8BiS6: theoretical X-ray diffraction stick pattern (Cu Ka), based on DFT lattice parameters and positions (PBE).
Kinematic intensities with the Lorentz-polarization factor, no thermal factor.

Structure:
Cell lengths 7.1146, 7.1146, 13.4791 Å; angles 90.00, 90.00, 120.00 degrees
Space group P6_3cm (No. 185)
Unique sites:
Li 0.0000 0.3259 0.0000 x6
Li 0.0000 0.3888 0.3673 x6
Li 0.3333 0.6667 0.1306 x4
Bi 0.0000 0.0000 0.2267 x2
S 0.0000 0.0000 0.4227 x2
S 0.0000 0.3536 0.1848 x6
S 0.3333 0.6667 0.4481 x4

Principal peaks in the range 10° ≤ 2θ ≤ 90°, by intensity:
2θ = 19.52°, rel. 100, (1 0 2)
2θ = 14.38°, rel. 85, (1 0 0)
2θ = 25.03°, rel. 44, (1 1 0)
2θ = 31.94°, rel. 36, (2 0 2)
2θ = 41.00°, rel. 34, (2 1 2)
2θ = 13.14°, rel. 34, (0 0 2)
2θ = 30.23°, rel. 31, (1 0 4)
2θ = 36.74°, rel. 28, (1 1 4)
2θ = 44.09°, rel. 28, (3 0 0)
2θ = 26.45°, rel. 25, (0 0 4)
2θ = 28.98°, rel. 23, (2 0 0)
2θ = 52.15°, rel. 21, (3 0 4)

# 2
Li4Bi2S7: theoretical X-ray diffraction stick pattern (Cu Ka), based on DFT lattice parameters and positions (PBE).
Kinematic intensities with the Lorentz-polarization factor, no thermal factor.

Structure:
Cell lengths 6.1714, 12.5587, 8.8355 Å; angles 90.00, 123.58, 90.00 degrees
Space group P2_1/c (No. 14)
Unique sites:
Li 0.1416 0.1121 0.4757 x4
Li 0.2114 0.6668 0.8798 x4
Bi 0.3502 0.0266 0.1402 x4
S 0.1871 0.0142 0.7616 x4
S 0.2037 0.7289 0.6150 x4
S 0.4027 0.2359 0.2053 x4
S 0.5000 0.0000 0.5000 x2

Principal peaks in the range 10° ≤ 2θ ≤ 90°, by intensity:
2θ = 14.10°, rel. 100, (0 2 0)
2θ = 13.94°, rel. 82, (0 1 1)
2θ = 20.48°, rel. 68, (1 0 -2)
2θ = 30.67°, rel. 57, (2 1 -1)
2θ = 31.32°, rel. 55, (1 1 -3)
2θ = 37.39°, rel. 51, (0 1 3)
2θ = 28.43°, rel. 46, (0 4 0)
2θ = 17.25°, rel. 41, (1 0 0)
2θ = 27.02°, rel. 39, (1 1 1)
2θ = 36.88°, rel. 28, (2 3 -1)
2θ = 50.85°, rel. 23, (3 2 -4)
2θ = 22.35°, rel. 23, (1 2 0)

# 3
LiBiS2: theoretical X-ray diffraction stick pattern (Cu Ka), based on DFT lattice parameters and positions (PBE).
Kinematic intensities with the Lorentz-polarization factor, no thermal factor.

Structure:
Cell lengths 3.9790, 3.9790, 19.0258 Å; angles 90.00, 90.00, 120.00 degrees
Space group R-3m (No. 166, hexagonal axes)
Unique sites:
Li 0.0000 0.0000 0.0000 x3
Bi 0.0000 0.0000 0.5000 x3
S 0.0000 0.0000 0.2543 x6

Principal peaks in the range 10° ≤ 2θ ≤ 90°, by intensity:
2θ = 13.96°, rel. 100, (0 0 3)
2θ = 32.07°, rel. 88, (1 0 4)
2θ = 26.28°, rel. 77, (1 0 1)
2θ = 35.13°, rel. 40, (0 1 5)
2θ = 27.53°, rel. 34, (0 1 2)
2θ = 45.60°, rel. 33, (1 1 0)
2θ = 46.39°, rel. 31, (0 1 8)
2θ = 47.92°, rel. 30, (1 1 3)
2θ = 42.35°, rel. 20, (1 0 7)
2θ = 56.83°, rel. 17, (0 2 4)
2θ = 64.30°, rel. 15, (1 1 9)
2θ = 75.71°, rel. 15, (2 1 4)


Record 1
Diffraction record for LiP2WO8. The X-ray powder pattern is computed, not measured: it uses a GGA+U-relaxed structure and λ = 1.5418 Å (Cu Kα).
Kinematic intensities with the Lorentz-polarization factor, no thermal factor.